
时间:2022-12-01 18:27:20

I'm fairly new to the DI concept, but I have been using it to some extent in my designs - mainly by 'injecting' interfaces into constructors and having factories create my concrete classes. Okay, it's not configuration-based - but it's never NEEDED to be.

我是DI概念的新手,但我在设计中已经在某种程度上使用它 - 主要是通过'注入'接口到构造函数并让工厂创建我的具体类。好的,它不是基于配置的 - 但它永远不需要。

I started to look at DI frameworks such as Spring.NET and Castle Windsor, and stumbled across this blog by Ayende.

我开始研究诸如Spring.NET和Castle Windsor之类的DI框架,并偶然发现了Ayende的博客。

What I got from this is


A) DI frameworks are awesome, but B) It means we don't have to worry about how our system is designed in terms of dependencies.


For me, I'm used to thinking hard about how to loosely-couple my system but at the same time have some sort of control over dependencies.


I'm a bit scared of losing this control, and it being just a free-for-all. ClassA needs ClassB = no problem, just ask and ye shall receive! Hmmm.

我有点害怕失去这种控制,它只是一个免费的。 ClassA需要ClassB =没问题,只要问,你就收到了!嗯。

Or is that just the point and this is the future and I should just go with it?



8 个解决方案


I wouldn't say that you don't have to think about dependencies, but using an IoC framework allows you to change the types which fulfill the dependencies with little or no hassle, since all the wiring is done in a central place.


You still have to think about what interfaces you need and getting them right is not always a trivial matter.


I don't see how a loosely coupled system could be considered lazily designed. If you go through all the trouble of getting to know an IoC framework, you're certainly not taking the shortcut.



One basic OO principle is that you want your code to depend on interfaces and not implementations, DI is how we do that. Historically, here is how it evolved:


  1. People initially created classes they depended upon by "new'ing" them:


    IMyClass myClass = new MyClass();

    IMyClass myClass = new MyClass();

  2. Then we wanted to remove instantiation so there were static methods to create them:


    IMyClass myClass = MyClass.Create();

    IMyClass myClass = MyClass.Create();

  3. Then we no longer depended on the lifecycle of the class, but still depended on it for instantiation, so then we used the factory:


    IMyClass myClass = MyClassFactory.Create();

    IMyClass myClass = MyClassFactory.Create();

  4. This moved the direct dependency from the consuming code to the factory, but we still had the dependency on MyClass indirectly, so we used the service locator pattern like this:


    IMyClass myClass = (IMyClass)Context.Find("MyClass");

    IMyClass myClass =(IMyClass)Context.Find(“MyClass”);

  5. That way we were only dependent on an interface and a name of a class in our code. But it can be made better, why not depend simply on an interface in our code? We can with dependency injection. If you use property injection you would simply put a property setter for the interface you want in your code. You then configure what the actual dependency is outside of your code and the container manages the lifecycle of that class and your class.



I think that ideally, if you already have a loosley coupled system.., using a container will only move the place where you take the dependencies out of your code making them softer and let your system depend on the container building your object graph.


In reality, attempting to use the the container will probably show you that your system is not as loosley coupled as you thought it was.. so in this way, it may help you to create a better design.


Well, i'm a newbie at this subjet.. so maybe i'm not that right.




I must be high, because I thought the whole point of dependency injection is that the code that does stuff simply declares its dependencies so that someone who's creating it will know what to create with it for it to operate correctly.


How dependency injection makes you lazy is maybe it forces someone else to deal with dependencies? That's the whole point! That someone else doesn't need to be really someone else; it just means the code you write doesn't need to be concerned with dependencies because it declares them upfront. And they can be managed because they are explicit.


Edit: Added the last sentence above.



Dependency injection can be a bit difficult to get used to - instead of a direct path through your code, you end up looking at seemingly unconnected objects, and a given action traces it's path through a series of these objects whose coupling seems, to be kind, abstract.

依赖注入可能有点难以习惯 - 而不是通过代码的直接路径,最终看到看似未连接的对象,并且给定的操作跟踪它通过一系列这些对象的路径,这些对象的耦合似乎是友好的,抽象。

It's a paradigm shift similar to getting used to OO. The intention is that your objects are written do have a focused and single responsibility, using the dependent objects as they're declared by the interface and handled by the framework.


This not only makes loose coupling easier, it makes it almost unavoidable, or at least nearly so, which makes it much simpler to do things like run your object in a mock environment - The IOC container is taking the place of the run environment.

这不仅使松散耦合更容易,而且几乎不可避免,或者至少几乎如此,这使得在模拟环境中运行对象更简单 - IOC容器取代了运行环境。


I would disagree and say they lead to better design in many cases. Too often devs create components that do too much and have too many dependencies. With IOC developers i find tend to migrate to a better way of thinking and produce smaller simpler components that can be assembled together into an app.s


If they follow the spirit and do tests, they will further refine your components. Both exercises force you to write better testable components which fits very well with how IOC containers work.



You still have to worry. My team use Castle Windsor in our current project. It annoys me that it delays dependency lookup from compile time to runtime.

你还是要担心。我的团队在我们当前的项目中使用Castle Windsor。令我很生气的是,它将依赖查找从编译时延迟到运行时。

Without Castle Windsor, you write code and if you haven't sorted your dependencies out. Bang, the compiler will complain. With Castle Windsor you configure the dependencies in an xml file. They're still there, just separated out from the bulk of your code. The problem is, your code can compile fine if you make a mess of defining the dependencies. But, at runtime, Castle Windsor looks up a concrete classes to service requests for an interface by using reflection. If the dependency can't be found, you get an error at runtime.

如果没有Castle Windsor,您可以编写代码,如果您没有对依赖项进行排序。邦,编译器会抱怨。使用Castle Windsor,您可以在xml文件中配置依赖项。它们仍然存在,只是从大部分代码中分离出来。问题是,如果你弄清楚定义依赖项,你的代码可以正常编译。但是,在运行时,Castle Windsor通过使用反射查找具体的类来为接口提供服务请求。如果找不到依赖项,则在运行时会出现错误。

I think Castle Windsor does check the dependencies exist when its initialized so that it can throw an error pretty quick. But, it's still annoying when using a strongly typed language that this fuss can't be sorted out at runtime.

我认为Castle Windsor确实在初始化时检查依赖关系,以便它可以很快地抛出错误。但是,当使用强类型语言时,在运行时无法解决这个问题仍然很烦人。

So... anyway. Dependencies still seriously matter. You'll all most certainly pay more attention to them using DI than before.



We wrote custom DI framework, thought it took some time getting it right but it all worth the effort. We have divided the who systems into layers and the dependency injection in each layer is bound by rules. E.g. In the Log layer, CUD and BO interfaces cannot be injected.


We are still contemplating over the rules and some of these change every week while the others are remain the same.



I wouldn't say that you don't have to think about dependencies, but using an IoC framework allows you to change the types which fulfill the dependencies with little or no hassle, since all the wiring is done in a central place.


You still have to think about what interfaces you need and getting them right is not always a trivial matter.


I don't see how a loosely coupled system could be considered lazily designed. If you go through all the trouble of getting to know an IoC framework, you're certainly not taking the shortcut.



One basic OO principle is that you want your code to depend on interfaces and not implementations, DI is how we do that. Historically, here is how it evolved:


  1. People initially created classes they depended upon by "new'ing" them:


    IMyClass myClass = new MyClass();

    IMyClass myClass = new MyClass();

  2. Then we wanted to remove instantiation so there were static methods to create them:


    IMyClass myClass = MyClass.Create();

    IMyClass myClass = MyClass.Create();

  3. Then we no longer depended on the lifecycle of the class, but still depended on it for instantiation, so then we used the factory:


    IMyClass myClass = MyClassFactory.Create();

    IMyClass myClass = MyClassFactory.Create();

  4. This moved the direct dependency from the consuming code to the factory, but we still had the dependency on MyClass indirectly, so we used the service locator pattern like this:


    IMyClass myClass = (IMyClass)Context.Find("MyClass");

Unrelated to this text: calculated crystals =
-- begin --
(1)
This entry pairs a crystal structure of Li2Be2ZnAu5 with its calculated powder XRD pattern. Radiation: a wavelength of 1.5418 Å. Structure: a crystal structure in Alexandria, relaxed with PBE.

Structural model:
```
data_Li2Be2ZnAu5
_cell_length_a 9.769
_cell_length_b 9.769
_cell_length_c 3.284
_cell_angle_alpha 90.00
_cell_angle_beta 90.00
_cell_angle_gamma 90.00
_symmetry_space_group_name_H-M 'P 4/m b m'
_symmetry_Int_Tables_number 127
_symmetry_space_group_name_Hall '-P 4 2ab'
loop_
_atom_site_label
_atom_site_type_symbol
_atom_site_fract_x
_atom_site_fract_y
_atom_site_fract_z
Li1 Li 0.173 0.327 0.000
Be1 Be 0.126 0.626 0.000
Zn1 Zn 0.000 0.000 0.000
Au1 Au 0.000 0.500 0.500
Au2 Au 0.077 0.795 0.500
```

Largest 10 diffraction maxima, low angle first, 2θ from 15° to 90°:
2θ = 20.33°, I = 46; 2θ = 27.16°, I = 98; 2θ = 28.90°, I = 56; 2θ = 33.06°, I = 52; 2θ = 37.98°, I = 58; 2θ = 40.07°, I = 100; 2θ = 41.33°, I = 39; 2θ = 43.29°, I = 55; 2θ = 47.31°, I = 59; 2θ = 74.51°, I = 49


(2)
This entry pairs a crystal structure of MgBe6Au6 with its calculated powder XRD pattern. Radiation: a wavelength of 1.5418 Å. Structure: a crystal structure in Alexandria, relaxed with PBE.

Structural model:
```
data_MgBe6Au6
_cell_length_a 4.870
_cell_length_b 8.419
_cell_length_c 8.575
_cell_angle_alpha 90.00
_cell_angle_beta 90.00
_cell_angle_gamma 90.00
_symmetry_space_group_name_H-M 'I m m m'
_symmetry_Int_Tables_number 71
_symmetry_space_group_name_Hall '-I 2 2'
loop_
_atom_site_label
_atom_site_type_symbol
_atom_site_fract_x
_atom_site_fract_y
_atom_site_fract_z
Mg1 Mg 0.000 0.000 0.000
Be1 Be 0.000 0.261 0.500
Be2 Be 0.250 0.250 0.250
Au1 Au 0.000 0.000 0.336
Au2 Au 0.000 0.325 0.000
Au3 Au 0.000 0.500 0.330
```

Largest 10 diffraction maxima, low angle first, 2θ from 15° to 90°:
2θ = 21.11°, I = 39; 2θ = 29.74°, I = 45; 2θ = 29.93°, I = 80; 2θ = 36.45°, I = 100; 2θ = 36.92°, I = 60; 2θ = 42.49°, I = 32; 2θ = 42.75°, I = 18; 2θ = 42.93°, I = 28; 2θ = 48.11°, I = 34; 2θ = 78.42°, I = 23


(3)
This entry pairs a crystal structure of MgBe2Au with its calculated powder XRD pattern. Radiation: a wavelength of 1.5418 Å. Structure: a crystal structure in Alexandria, relaxed with PBE.

Structural model:
```
data_MgBe2Au
_cell_length_a 6.931
_cell_length_b 3.990
_cell_length_c 4.832
_cell_angle_alpha 90.00
_cell_angle_beta 118.06
_cell_angle_gamma 90.00
_symmetry_space_group_name_H-M 'C 1 2/m 1'
_symmetry_Int_Tables_number 12
_symmetry_space_group_name_Hall '-C 2y'
loop_
_atom_site_label
_atom_site_type_symbol
_atom_site_fract_x
_atom_site_fract_y
_atom_site_fract_z
Mg1 Mg 0.000 0.000 0.000
Be1 Be 0.197 0.000 0.591
Au1 Au 0.000 0.500 0.500
```

Largest 10 diffraction maxima, low angle first, 2θ from 15° to 90°:
2θ = 20.83°, I = 72; 2θ = 26.69°, I = 100; 2θ = 29.20°, I = 44; 2θ = 29.42°, I = 86; 2θ = 38.25°, I = 48; 2θ = 38.47°, I = 24; 2θ = 42.39°, I = 19; 2θ = 45.36°, I = 32; 2θ = 50.54°, I = 29; 2θ = 54.98°, I = 23
-- stop --

    IMyClass myClass =(IMyClass)Context.Find(“MyClass”);

  5. That way we were only dependent on an interface and a name of a class in our code. But it can be made better, why not depend simply on an interface in our code? We can with dependency injection. If you use property injection you would simply put a property setter for the interface you want in your code. You then configure what the actual dependency is outside of your code and the container manages the lifecycle of that class and your class.



I think that ideally, if you already have a loosley coupled system.., using a container will only move the place where you take the dependencies out of your code making them softer and let your system depend on the container building your object graph.


In reality, attempting to use the the container will probably show you that your system is not as loosley coupled as you thought it was.. so in this way, it may help you to create a better design.


Well, i'm a newbie at this subjet.. so maybe i'm not that right.




I must be high, because I thought the whole point of dependency injection is that the code that does stuff simply declares its dependencies so that someone who's creating it will know what to create with it for it to operate correctly.


How dependency injection makes you lazy is maybe it forces someone else to deal with dependencies? That's the whole point! That someone else doesn't need to be really someone else; it just means the code you write doesn't need to be concerned with dependencies because it declares them upfront. And they can be managed because they are explicit.


Edit: Added the last sentence above.



Dependency injection can be a bit difficult to get used to - instead of a direct path through your code, you end up looking at seemingly unconnected objects, and a given action traces it's path through a series of these objects whose coupling seems, to be kind, abstract.

依赖注入可能有点难以习惯 - 而不是通过代码的直接路径,最终看到看似未连接的对象,并且给定的操作跟踪它通过一系列这些对象的路径,这些对象的耦合似乎是友好的,抽象。

It's a paradigm shift similar to getting used to OO. The intention is that your objects are written do have a focused and single responsibility, using the dependent objects as they're declared by the interface and handled by the framework.


This not only makes loose coupling easier, it makes it almost unavoidable, or at least nearly so, which makes it much simpler to do things like run your object in a mock environment - The IOC container is taking the place of the run environment.

这不仅使松散耦合更容易,而且几乎不可避免,或者至少几乎如此,这使得在模拟环境中运行对象更简单 - IOC容器取代了运行环境。


I would disagree and say they lead to better design in many cases. Too often devs create components that do too much and have too many dependencies. With IOC developers i find tend to migrate to a better way of thinking and produce smaller simpler components that can be assembled together into an app.s


If they follow the spirit and do tests, they will further refine your components. Both exercises force you to write better testable components which fits very well with how IOC containers work.



You still have to worry. My team use Castle Windsor in our current project. It annoys me that it delays dependency lookup from compile time to runtime.

你还是要担心。我的团队在我们当前的项目中使用Castle Windsor。令我很生气的是,它将依赖查找从编译时延迟到运行时。

Without Castle Windsor, you write code and if you haven't sorted your dependencies out. Bang, the compiler will complain. With Castle Windsor you configure the dependencies in an xml file. They're still there, just separated out from the bulk of your code. The problem is, your code can compile fine if you make a mess of defining the dependencies. But, at runtime, Castle Windsor looks up a concrete classes to service requests for an interface by using reflection. If the dependency can't be found, you get an error at runtime.

如果没有Castle Windsor,您可以编写代码,如果您没有对依赖项进行排序。邦,编译器会抱怨。使用Castle Windsor,您可以在xml文件中配置依赖项。它们仍然存在,只是从大部分代码中分离出来。问题是,如果你弄清楚定义依赖项,你的代码可以正常编译。但是,在运行时,Castle Windsor通过使用反射查找具体的类来为接口提供服务请求。如果找不到依赖项,则在运行时会出现错误。

I think Castle Windsor does check the dependencies exist when its initialized so that it can throw an error pretty quick. But, it's still annoying when using a strongly typed language that this fuss can't be sorted out at runtime.

我认为Castle Windsor确实在初始化时检查依赖关系,以便它可以很快地抛出错误。但是,当使用强类型语言时,在运行时无法解决这个问题仍然很烦人。

So... anyway. Dependencies still seriously matter. You'll all most certainly pay more attention to them using DI than before.



We wrote custom DI framework, thought it took some time getting it right but it all worth the effort. We have divided the who systems into layers and the dependency injection in each layer is bound by rules. E.g. In the Log layer, CUD and BO interfaces cannot be injected.


We are still contemplating over the rules and some of these change every week while the others are remain the same.
